Apache Kafka at Porsche — Writer meets car manufacturer

Heiko Scholtes
Published in
6 min readJul 15, 2017

“Roads grow out of going them!” — Franz Kafka

As part of our digital transformation at Porsche the mindset of the people plays the most important role. But agility, speed and organisational culture must also find its way to the product teams and sooner or later we talk about speed in development teams.

In this article I will describe how Apache Kafka helped us to decouple microservices and led to a more independent software development process by dissolving dependencies between both organisational units and technical components. The result is an even better velocity in the teams and an even more reliable event backbone.


You might think of delivering software in ONE development team is not a big deal? You are probably right when the following requirements are met:

  • the team understands the requirements and acceptance criteria that are described in the epics and user stories
  • the scrum roles are fully established
  • the team members trust each other and have a good personal relationship
  • the team is passionate
  • the team uses the technology stack on which it performs best
  • no dependencies to other teams

Basically, this is an ideal state and during my 12 years experience as Project Manager I have never seen such a perfection in regards to these circumstances.

Think of complex Connected Car projects: beginning from R&D, Electronic Control Units (ECUs) in a vehicle up to Vehicle Documentation Systems, various After Sales and Sales Systems (CRM System, Identity & Access Management Services, Shop Systems, License & Activation Management Systems for Connect Services, Picture Services, Messaging & Communication Services for customer notifications, etc.) to only mention a few of them. There are massive complexities and huge dependencies between various development teams.

In 1967, Melvin Conway was right when he said that the complexity of the IT-landscape strongly depends on the complexity of the company’s organisation and communication structure (Conway’s law). The more organisational units the more heterogenous IT systems.

The complexity mentioned by Conway posed a challenge to our development teams: the vast amount of dependencies between legacy systems, microservices and their organisational ownerships led to communication overhead, many meetings and too many bounded developers for harmonising both interface integrations and test(-data) management between these systems.

Long story short: the dependencies between teams and organisational units grew and team members were most of the time arguing in meetings than developing new features.

The result: the development teams’ velocity slowed down.

For sure you can rethink the size of your microservices and shift its organisational ownership to improve the communication channels and hence speed up the development of components. But you definitely want to avoid that technical components are tailored to particularly fit to organisational units that either might change in future and/or the component’s ownership will eventually change. Remember Conway’s words!

Welcome Apache Kafka

The point at Porsche came pretty early when we had to decide how to solve these dependencies on a technical layer.

At the same time we talked about „process-like“ microservices that encapsulate the overall business process and in turn orchestrate downstream microservices. But this kind of architecture collapsed already on the question of the product ownership of that „process-like“ microservice since processes usually span business domains.

Additionally, we doubted that introducing a new microservice orchestration layer will really speed up our development process since it increases the complexity, apparently.

So, we decided for a hybrid event-driven architecture. What does that mean?

Actions, triggered by the frontends (e.g. Portal- or Webshop-based-microservices) always result in synchronous transactions and synchronous communication with downstream components. This synchronous communication pattern always guarantees that the Frontend-Users get a meaningful response to their CRUD (Create, Read, Update, Delete)-operations and data consistency in frontend widgets is ensured during navigation.

The synchronous main transaction (e.g. establish/release car relationship between owner and vehicle) either succeeds or fails, i.e. there are no doubted transactions.

Microservices themselves might initiate several synchronous calls to downstream components and are hence responsible for the consistency of the data that are in turn provisioned back to the frontend user. But this is all done in a synchronous way.

The synchronous Create, Update and Delete main transaction usually results in a changed state from a business perspective, e.g.:

  • a car relationship between owner and vehicle released successfully compared to the previous state when the owner-vehicle-relation existed
  • a connect service was successfully activated in a vehicle compared to the previous state when the service was not available in this specific vehicle

In these cases the microservice that successfully finished the main transaction publishes a document-based “state-changed-event” which is then subscribed by various microservices. The microservice that initiated the main transaction is out of responsibility after having published the “state-changed-event”. Furthermore, the publishing microservice (event producer) does not even know if — and if yes, — which microservices subscribed to the “state-changed-event”.

=====
No. 1
Structure and computed powder X-ray diffraction pattern of Si3NiIr3 (a structure optimized by DFT (GGA-PBE); copper Kα).
Peak positions follow from Bragg's law for the DFT cell and can differ from measured ones.

Peak list (12 most intense, 2θ from 10° to 90°, low angle first)
Position (°2θ), I (rel.), hkl
21.6, 55, 2 0 2
26.6, 100, 1 0 4
29.3, 32, 3 0 2
32.4, 27, 0 1 1
37.1, 43, 0 1 3
37.7, 78, 4 0 2
38.2, 53, 1 1 3
41.3, 41, 2 1 3
42.2, 81, 3 1 1
45.3, 50, 0 1 5
46.9, 54, 3 0 6
52.3, 37, 4 1 3

Structure:
a b c (Å): 10.134 2.821 14.177
angles (deg): 90.00 90.00 90.00
Space group Pnma (No. 62)
Asymmetric unit:
Si (0.089, 0.250, 0.109) (multiplicity 4)
Si (0.117, 0.250, 0.598) (multiplicity 4)
Si (0.245, 0.250, 0.354) (multiplicity 4)
Ni (0.007, 0.250, 0.296) (multiplicity 4)
Ir (0.098, 0.250, 0.938) (multiplicity 4)
Ir (0.111, 0.750, 0.457) (multiplicity 4)
Ir (0.220, 0.750, 0.213) (multiplicity 4)


No. 2
Structure and computed powder X-ray diffraction pattern of La7Y3 (a structure optimized by DFT (GGA-PBE); copper Kα).
Peak positions follow from Bragg's law for the DFT cell and can differ from measured ones.

Peak list (12 most intense, 2θ from 10° to 90°, low angle first)
Position (°2θ), I (rel.), hkl
29.1, 45, 2 0 2
30.0, 58, 0 2 0
30.6, 18, 1 1 2
30.8, 100, 5 1 0
31.0, 94, 3 1 -2
42.3, 32, 2 2 2
46.1, 16, 8 0 -2
52.5, 12, 7 1 2
53.8, 23, 5 3 0
53.9, 19, 3 3 -2
56.0, 18, 8 2 -2
64.2, 12, 10 2 0

Structure:
a b c (Å): 16.938 5.958 7.269
angles (deg): 90.00 101.07 90.00
Space group C2/m (No. 12)
Asymmetric unit:
La (0.000, 0.000, 0.000) (multiplicity 2)
La (0.104, 0.500, 0.410) (multiplicity 4)
La (0.116, 0.500, 0.925) (multiplicity 4)
La (0.190, 0.000, 0.734) (multiplicity 4)
Y (0.000, 0.000, 0.500) (multiplicity 2)
Y (0.197, 0.000, 0.250) (multiplicity 4)

* * * * *

For V3O4F2, DFT lattice parameters and positions (PBE+U) gives the theoretical powder XRD pattern in this record (Cu Kα).
Peak positions follow from Bragg's law for the DFT cell and can differ from measured ones.

Top 6 peaks for 2θ = 10–90°, low angle first:
hkl	d (Å)	I (rel.)
2 0 0	3.333	100.0
1 1 -3	2.550	22.8
1 1 3	2.519	24.0
1 3 -3	1.732	13.4
1 3 3	1.722	13.9
3 1 3	1.710	14.5

Structure:
```
data_V3O4F2
_chemical_formula_sum 'V12 O16 F8'
_space_group_name_H-M_alt 'C 1 2 1'
_space_group_IT_number 5
_space_group_name_Hall 'C 2y'
_cell_length_a 6.6591
_cell_length_b 6.6756
_cell_length_c 9.0187
_cell_angle_alpha 90.00
_cell_angle_beta 91.10
_cell_angle_gamma 90.00
loop_
_atom_site_label
_atom_site_type_symbol
_atom_site_fract_x
_atom_site_fract_y
_atom_site_fract_z
V1 V 0.0000 0.0000 0.0000
V2 V 0.0000 0.4950 0.5000
V3 V 0.0082 0.9614 0.6540
V4 V 0.0291 0.5030 0.1535
O1 O 0.0000 0.2994 0.0000
O2 O 0.0000 0.7044 0.0000
O3 O 0.0022 0.6790 0.3284
O4 O 0.1868 0.9959 0.8292
O5 O 0.2037 0.9797 0.4973
F1 F 0.0075 0.2848 0.3295
F2 F 0.2074 0.9904 0.1712
```

* * * * *

[1]
=====
The records of crystals stop here:

Subscribing microservices (event consumers) are now in charge of consuming this event and of processing it in a new transaction. The event consumers act independently and are self-contained from both a technical and business point of view.

Between event producers and event consumers, Apache Kafka is established as publish/subscribe event backbone.

The big advantage: both the technical components and hence the development teams are decoupled in regards to the „state-changed-events”. This circumstance finally lead to faster test results, less integration efforts and hassle free integrations with help of the publish/subscribe pattern.

Why Apache Kafka?

Apache Kafka is an open-source distributed streaming platform that we evaluated last year in a three-months Proof-of-Concept (PoC) phase. We decided against other queuing platforms since Apache Kafka offers more than just realising the above described publish/subscribe pattern.

The main benefits for our use-cases were

  • continuously running real-time query capabilities
  • excellent topic/partition management
  • very high throughput
  • low administrative overhead
  • many settings are decentralised, i.e. the event consumer decides what rollback, timeout, etc. behaviour fits best for its specific use-case
  • both decentralised settings and administration capabilities fit best for a DevOps approach
  • Open-Source Software (-license)

After the successful PoC we decided that Apache Kafka is the perfect match for our event backbone: it decouples our microservices, is easy to handle and — most important — helps to speed up the overall development process. Additionally, it is a future proof streaming platform for both vehicle events and event analysis.

Furthermore, we decided for Apache AVRO as data serialisation system and exchange format in Kafka messages and checked-in a blueprint consumer and producer code in our bitbucket for the sake of re-use in other development teams.

........
Starting from a DFT-relaxed cell (GGA-PBE, the Materials Project), the powder diffraction line list of Na2SmPCO7 was calculated for λ = 1.5418 Å (Cu Kα).
Peak positions follow from Bragg's law for the DFT cell and can differ from measured ones.

Main lines, most intense first (2θ from 10° to 90°):
15.6°, rel. 100, hkl 0 1 1
21.2°, rel. 92, hkl 1 1 0
25.0°, rel. 76, hkl 0 2 0
25.7°, rel. 75, hkl 1 0 2
25.4°, rel. 55, hkl 1 0 -2
42.0°, rel. 53, hkl 1 3 0

Cell and atoms:
```
data_Na2SmPCO7
_chemical_formula_sum 'Na4 Sm2 P2 C2 O14'
_cell_length_a 5.186
_cell_length_b 7.112
_cell_length_c 9.414
_cell_angle_alpha 90.00
_cell_angle_beta 90.82
_cell_angle_gamma 90.00
_symmetry_space_group_name_H-M 'P 1 21/m 1'
_symmetry_Int_Tables_number 11
loop_
_symmetry_equiv_pos_as_xyz
'x,y,z'
'-x,-y,-z'
'-x,y+1/2,-z'
'x,-y+1/2,z'
loop_
_atom_site_label
_atom_site_fract_x
_atom_site_fract_y
_atom_site_fract_z
Na1 0.229 0.005 0.206
Sm1 0.236 0.250 0.623
P1 0.293 0.750 0.587
C1 0.269 0.250 0.924
O1 0.043 0.250 0.860
O2 0.168 0.571 0.650
O3 0.251 0.750 0.420
O4 0.299 0.250 0.057
O5 0.409 0.250 0.389
O6 0.468 0.250 0.837
```

Starting from a DFT-relaxed cell (GGA-PBE, the Materials Project), the powder diffraction line list of Nd2Si2O7 was calculated for λ = 1.5418 Å (Cu Kα).
Peak positions follow from Bragg's law for the DFT cell and can differ from measured ones.

Main lines, most intense first (2θ from 10° to 90°):
27.1°, rel. 100, hkl 0 2 1
29.1°, rel. 59, hkl 0 0 4
26.6°, rel. 54, hkl 1 1 2
27.0°, rel. 47, hkl 2 0 -2
30.1°, rel. 42, hkl 2 1 -2
45.6°, rel. 40, hkl 0 2 5

Cell and atoms:
```
data_Nd2Si2O7
_chemical_formula_sum 'Nd8 Si8 O28'
_cell_length_a 6.737
_cell_length_b 6.823
_cell_length_c 12.952
_cell_angle_alpha 90.00
_cell_angle_beta 108.89
_cell_angle_gamma 90.00
_symmetry_space_group_name_H-M 'P 1 21/c 1'
_symmetry_Int_Tables_number 14
loop_
_symmetry_equiv_pos_as_xyz
'x,y,z'
'-x,-y,-z'
'-x,y+1/2,-z+1/2'
'x,-y+1/2,z+1/2'
loop_
_atom_site_label
_atom_site_fract_x
_atom_site_fract_y
_atom_site_fract_z
Nd1 0.029 0.108 0.361
Nd2 0.356 0.178 0.155
Si1 0.206 0.579 0.392
Si2 0.396 0.672 0.086
O1 0.001 0.720 0.335
O2 0.163 0.105 0.961
O3 0.225 0.010 0.550
O4 0.292 0.513 0.292
O5 0.299 0.674 0.654
O6 0.377 0.088 0.342
O7 0.402 0.719 0.471
```

Starting from a DFT-relaxed cell (GGA-PBE, the Materials Project), the powder diffraction line list of VFeP was calculated for λ = 1.5418 Å (Cu Kα).
Peak positions follow from Bragg's law for the DFT cell and can differ from measured ones.

Main lines, most intense first (2θ from 10° to 90°):
40.3°, rel. 100, hkl 1 1 2
42.4°, rel. 81, hkl 2 1 1
48.3°, rel. 75, hkl 0 1 3
40.1°, rel. 46, hkl 2 1 0
52.4°, rel. 44, hkl 0 2 0
43.3°, rel. 31, hkl 1 0 3

Cell and atoms:
```
data_VFeP
_chemical_formula_sum 'V4 Fe4 P4'
_cell_length_a 5.888
_cell_length_b 3.493
_cell_length_c 6.700
_cell_angle_alpha 90.00
_cell_angle_beta 90.00
_cell_angle_gamma 90.00
_symmetry_space_group_name_H-M 'P n m a'
_symmetry_Int_Tables_number 62
loop_
........
_The crystal structures stop here_

After six months running a clustered Apache Kafka in production more and more development teams within Porsche but also from other corporate group brands ask for experiences with the platform and I usually highly recommend this setup.

In some cases the use of traditional queuing systems makes definitely more sense and should be taken into consideration but in our case at Porsche Connect, Apache Kafka was the first choice.

What comes next?

We are just in the process of establishing domain-specific (e.g. After Sales, Sales, etc.) Apache Kafka hubs at Porsche and interconnect these hubs with help of Apache Kafka’s Mirror Maker. This will offer new scalable and flexible possibilities across business domains especially if you think of moving some domains into the cloud.

The journey has just begun. Come along with us on this journey.

